Kotep Strips Down

Some kind of jackal trickster god manages to turn themself into a Gideon-sized stripper. Explicit.

Deep in the temple, in a small sanctuary off of the hypostyle hall, Kotep stood in front of a mirror flanked by flickering braziers. The golden jackal turned to one side, then the other. They hiked up the edge of their dress, exposing a little more hip, then let it drop back down with a sigh.

"This isn't going to work." Not for this trick. The plan was too complicated to get into, but the important part was that Kotep needed to sex things up for it to work. The only problem was: "What the hell are mortals horny for these days?"

One arm folded across their chest and one finger tapping at their chin, Kotep stared at the floor. They contemplated for a good minute or two before they began to get bored and impatient with waiting. It was too hard to put themself in the mindset of some idiot constantly driven around by their procreatory bits. It was much easier to just cast a spell that would take care of it all for them. Riskier, sure, but no one got to be a trickster god by playing it safe.

Kotep raised a hand and the ground began to rumble. Gusts of wind fluttered against their dress and ruffled through their hair like unseen wings. A few green-blue feathers fell to the floor and traced the outline of a circle around their feet. They cocked their hips, planted their hands on their waist, and watched the mirror, waiting for the sign of some change.

It was their breasts first. Of course it was. Ever since the Thirty-First Dynasty it'd been breasts. Swelling outward with their soft weight, they pulled the linen tighter around them. Kotep arched their chest toward the mirror and ran their hands down their dress to smooth it out. Their breasts stretched with a slow, steady motion, like the filling of a balloon. If they rested their hands on either side, they could feel the faint quivering of mass pumping into them—as well as a small jolt from their nipples, from the feeling of linen brushing against tender skin. Kotep yanked their hands away, rolled their eyes, and huffed, "Mortals."

The Party

Five short stories filled with Halloween-y costume transformation. Mature.

The setting sun lit the tops of the trees like Halloween lights against the purple sky. The old house poked its third story up above the leaves, looking down at the town below, where trick-or-treating was in full swing. The weather had relented just in time, making the evening crisp, but not cold. Cars already lined the narrow road leading up from the highway, parked off the shoulder wherever space could be found.

The path to the house was strung with small lanterns, but Mitch lingered by the side of the road, pacing while trying to look like he wasn't pacing. He picked his head up every time he heard another car rolling by, and occasionally reached back to make sure the duct tape holding his tail on wasn't peeling off. His fox costume was a last-minute affair: a headband with red ears, a costume tail taped to the seat of his pants, and a scribble of black marker on top of his nose, with a few whiskers drawn along his cheeks.

When she saw Mitch, Leah called out, "Hey!" Then she remembered her mask and pushed it up on top of her head. "Hey, Mitch!" she called again, jogging up to meet him.

Leah was dressed as a lion, in a costume that could have come from a stage production: a tawny bodysuit, big furry gloves and boots for paws, a fake mane with rounded ears poking from the top, and a rubber mask, which had been painted over to match the rest of the costume. A wire in her tail kept it curled in the air and made it swing behind her when she walked.

Mitch turned and smiled, relieved to see someone he knew. "Oh, hey!" he said, then nudged his glasses up his nose and took a closer look at Leah. "Where'd you get that? It looks good."

"My parents' attic. I had to kinda sneak it out of their house, but it was pretty dusty, so I don't think they're going to miss it for one night," Leah said, turning sideways to show off the tasseled tail.

"By the way, thanks for inviting me," Mitch said. "If you hadn't, I'd probably just wind up sitting in my dorm all night."

The two of them joked about tearing themselves away from video games until Allison arrived, dressed in a tank top in defiance of the fact that it was almost November, and with her arms folded tight against her chest. She looked from Mitch's bargain-bin fox costume to Leah's full, theatrical lion outfit. With a hesitant frown she asked, "Uh, is...everyone going to be dressed up?"

"There's probably going to be some people not in costume," Leah said. She lifted the lion mask from her forehead and offered it to Allie. "But you can borrow this if you want."

"Thanks," Allie breathed. She slipped the mask on over her face, then ruffled her hair to hide the elastic strap and tugged at the eye holes until they lined up with her eyes. The well-rendered snarl and wrinkled snout went a long way toward making up the fact that it was just a mask. "I don't want to look lame if Tory's going to be here," she said, wrapping her arms around herself again. "Now can we go inside?"

"We're still waiting for Erin and Chris. Let's give them another minute or two," Leah said.

It was hard to miss Chris. As he walked up, he announced himself with a dramatic growl of, "Greetings, puny humans!" He was dressed in a long-sleeved shirt patterned with red scales, a pair of tattered pants he'd used to be everything from a pirate to a peasant, red body paint to cover his hands and legs and face, a small rubber dragon's snout on top of his nose, and a stuffed red tail bouncing against the back of his calves.

Erin showed up just after Chris, wearing a jacket and jeans and canvas trainers. The only thing of hers that was even remotely a costume was the shock of red dye she'd put her hair the week before, and she had insisted that was just because she was tired of purple. "I heard you all the way down the road," she told Chris, giving him a mild glare. He didn't take it personally. Mild glaring was Erin's default state.

"You know this is a costume party, right?" Allie asked Erin.

Chris added, "I've got some horns and extra body paint back in my car. You could make a pretty good devil."

Erin rolled her eyes and sighed through her teeth. "Thanks, but I'm fine. I don't want a costume, I'm just here for the party."

And so the five of them filed up along the path toward the house: Leah in most of a lion costume, Chris already in character as a dragon, Allie wearing Leah's lion mask, Erin resolutely refusing to be anything but herself, and Mitch as a makeshift fox, bringing up the rear and gazing up at the old house rising from among the trees. The night was already settling in, rolling up the last rays of sunlight and drawing the sky darker. The warmth of music and voices rose as they crossed the lawn, eager to join...


The Party



A parasite slowly turns a young man into a woman and drives him to have sex. Explicit, rough language, mild body horror.

The grinding headache was the first symptom. Tom woke up feeling like two wrecking balls were smashing together in his head, and his limbs were so heavy they might as well have been tied down. Last night, there had been the party; the girl with the most amazing smile, who was so warm against him; sneaking off while snickering like drunk idiots; and then a big blank nothing.

Tom swung a hand onto his face and rubbed his cheeks: flushed, hot. He needed to shower. With legs made of lead, he crawled off his bed and forced himself to his feet. Vertigo spun around his head a few times. One hand on the wall to steady himself, blinking, scratching at the crust around his eyes, he pushed himself into the bathroom. The hot water creaked on and began to flood the bathroom with steam, while Tom, with his feet now firmly underneath him, peeled off his shirt and tossed it into the hamper.

The second symptom was the rash. It looked almost like webbing, like the outline of pink veins beneath his skin, tracing upward along his torso, blossoming across his chest, and fading as they stretched along his arms.

For a few moments, Tom's stomach churned, but then that passed and he was left staring down at his own chest with the crawling rash wrapped around it. That didn't look good. He'd have to look it up, WebMD or something. Right now, he felt like he was made of cheap frat beer and dried sweat, and he just wanted to dunk himself in the hot water and wake up his pounding brain.

With the water splashing through his dark hair and pouring down his shoulders and back, Tom felt better. He nudged the water a little hotter, then tipped his head back and let some of it fall into his mouth. He reached for the knob again; a little hotter still. He lowered his head. The water soaked his hair and ran down over his face, dripping from his nose and rolling from his chin to his chest. The knob wouldn't go any further. The air was thick with steam, and nearly as warm and wet as the water itself. Panting, Tom leaned against the shower wall.

Feeling Bonnie

An Irish toon bunny TF, inspired by an old Blackshirtboy sketch. Mature.

Sean had a cup of beer in his hands when he really shouldn't have. The party had occupied all level surfaces in the house, though, and he couldn't just pass it off to someone else, so he was stuck holding it. He was nudging his way through the crowd, trying to find the sink, when he spotted Julie standing in the doorway to the kitchen and talking with one of her friends.

Sean jerked sideways and squeezed out of view, so Julie wouldn't spot him by chance. Obviously he wanted to talk to her, but what could he say? Did he look sweaty? Why was this place so warm all of a sudden? His heart thumped as he looked down into the cup in his hand.

• Attached: crystal structures:
<<<
# MnOF
Calculated powder diffraction line list, Cu Kα. Input: DFT lattice parameters and positions (PBE+U).
Lines closer than 0.1° are merged.

Atomic structure:
Cell: 4.655 4.616 9.522 Å, 90.00 90.86 90.00°
Space group P2_1 (No. 4)
Symmetry-distinct sites (fractional):
Mn 0.213 0.000 0.252 x2
Mn 0.220 0.001 0.915 x2
Mn 0.284 0.050 0.583 x2
O 0.041 0.186 0.089 x2
O 0.083 0.202 0.747 x2
O 0.429 0.852 0.417 x2
F 0.020 0.246 0.417 x2
F 0.448 0.790 0.074 x2
F 0.486 0.806 0.754 x2

Main lines, most intense first (2θ from 10° to 90°):
2θ 27.21, I 100, hkl 1 1 0; 2θ 34.29, I 31, hkl 0 1 3; 2θ 53.01, I 29, hkl 1 2 3; 2θ 33.95, I 17, hkl 1 0 -3; 2θ 56.13, I 17, hkl 2 2 0; 2θ 34.44, I 15, hkl 1 0 3

~~~~~

Entry 1:
# Ac2ZnGaHg6
Theoretical powder XRD pattern, Cu Kα (weighted mean of Kα1 and Kα2). Input: a crystal structure in Alexandria, relaxed with GGA-PBE.

The 6 most intense peaks (15° ≤ 2θ ≤ 90°), in order of rising 2θ:
| two_theta | I (rel.) |
| --- | --- |
| 26.40 | 58 |
| 31.24 | 55 |
| 31.34 | 72 |
| 35.14 | 52 |
| 36.37 | 100 |
| 36.49 | 52 |

Cell and atoms:
Unit cell a=5.8652 b=7.3581 c=7.4227 alpha=87.97 beta=66.80 gamma=67.18
Space group P-1 (No. 2)
Unique sites:
Ac1 0.2407 0.2676 0.2503 x2
Zn1 0.0000 0.0000 0.0000 x1
Ga1 0.5000 0.5000 0.5000 x1
Hg1 0.1867 0.8173 0.3102 x2
Hg2 0.2484 0.5846 0.9175 x2
Hg3 0.3153 0.1770 0.6933 x2

Entry 2:
# Ac2Ga2I
Theoretical powder XRD pattern, Cu Kα (weighted mean of Kα1 and Kα2). Input: a crystal structure in Alexandria, relaxed with GGA-PBE.

The 6 most intense peaks (15° ≤ 2θ ≤ 90°), in order of rising 2θ:
| two_theta | I (rel.) |
| --- | --- |
| 20.76 | 47 |
| 28.56 | 71 |
| 32.99 | 100 |
| 38.48 | 43 |
| 50.86 | 20 |
| 60.06 | 23 |

Cell and atoms:
Unit cell a=8.1875 b=19.3620 c=4.3866 alpha=90.00 beta=90.00 gamma=90.00
Space group Imma (No. 74)
Unique sites:
Ac1 0.2500 0.1042 0.2500 x8
Ga1 0.0000 0.0378 0.7489 x8
I1 0.0000 0.2500 0.1359 x4

Entry 3:
# Ac2In5Ga3
Theoretical powder XRD pattern, Cu Kα (weighted mean of Kα1 and Kα2). Input: a crystal structure in Alexandria, relaxed with GGA-PBE.

The 6 most intense peaks (15° ≤ 2θ ≤ 90°), in order of rising 2θ:
| two_theta | I (rel.) |
| --- | --- |
| 29.46 | 46 |
| 30.58 | 100 |
| 37.81 | 51 |
| 42.77 | 24 |
| 48.64 | 23 |
| 63.83 | 24 |

Cell and atoms:
Unit cell a=4.7592 b=4.7592 c=11.7980 alpha=90.00 beta=90.00 gamma=90.00
Space group P-4m2 (No. 115)
Unique sites:
Ac1 0.0000 0.5000 0.2352 x2
In1 0.0000 0.0000 0.5000 x1
In2 0.0000 0.5000 0.6532 x2
In3 0.5000 0.5000 0.0000 x1
In4 0.5000 0.5000 0.5000 x1
Ga1 0.0000 0.0000 0.0000 x1
Ga2 0.0000 0.5000 0.8815 x2

Entry 4:
# Ac3In9Ga2
Theoretical powder XRD pattern, Cu Kα (weighted mean of Kα1 and Kα2). Input: a crystal structure in Alexandria, relaxed with GGA-PBE.

The 6 most intense peaks (15° ≤ 2θ ≤ 90°), in order of rising 2θ:
| two_theta | I (rel.) |
| --- | --- |
| 26.03 | 22 |
| 30.04 | 48 |
| 30.69 | 100 |
| 30.79 | 23 |
| 35.83 | 38 |
| 38.42 | 21 |

Cell and atoms:
>>>

All he needed was to loosen up. It wouldn't take much, and he wouldn't have to lose control. Just enough to get over his own self-consciousness.

By the time he lifted the cup from his lips, it was empty. Sean gulped, then began to forge a path out to the porch, where he could get some air.

The cool night breeze sent a shiver down his back, but it was worth the relief. He leaned against the railing, taking slow breaths and patting his cheeks with the back of his hands. Definitely warm. He tried to think about how to introduce himself to Julie. Hey, are you in Chem 22? Or would 'hi' be better? Maybe that sounded too enthusiastic. What about 'yo'? He probably wasn't cool enough to pull that off, though...

Sean swiped a hand through his hair, then paused and held a handful of it in front of his eyes. His normal rusty-orange locks looked redder and more vibrant. He let out a small sigh and threw his empty cup into a nearby garbage bag. At least it wasn't much. In the dim light, it was hard to even notice.

Little sparks of energy ran up and down his body: traveling through his legs, along his back, and out to the tips of his fingertips, then turning around and coursing right back down. He gripped the railing, rose onto the balls of his feet, and stretched his back until he felt a few joints pop. He was just anxious, that was all. Perfectly normal, especially with Julie here. He'd have to talk to her soon.

Free Beach Vacation!

A certain someone gets sent to the Vacation Zone and gets turned into an otter bimbo along the way. Mature.

It was spam—it had ended up in his inbox, but it was obviously spam. In colorful bold letters it said, 'Congratulations, you have won a free Beach Vacation! Redemption begins in...' with a timer next to it, ticking down from ten. Curious, he waited for it to count down to zero. Nothing happened, it just stopped. He wasn't sure what he'd expected, a gif of confetti to pop up?

With a click, he sent the spam email to the trash, then turned and pried himself up from his chair. He rubbed his hand along his face. It felt like he'd been sitting in front of his computer all morning. A quick brush of his tongue wet his dry, tender lips...and then they bulged outward.

His lips pressed against either side of his tongue. It felt as if a sudden rush of fluid had been pumped straight to his mouth, swirling out and filling up the available space, leaving his lips taut and nicely plump. He sucked a gasp through his light pout and clapped his hands over his mouth. The urge to fiddle with them was too strong though; they were just so strange that he couldn't resist prodding at them, tugging them, squeezing them gently between his thumb and forefinger to feel their firmness.

In the middle of squeezing them, they swelled out again. With his fingers on his lips, he could feel the pressure welling up from inside, pushing outward against his fingertips, then firming up like a plush pillow. Gingerly, he felt at the edges of his lips. They were large, not unreasonable, but certainly a bit surprising to find on a guy like him.


A quick story about lip transformation. As in, getting turned into a giant pair of lips. Sorry about that! Explicit.

It's just a tube of lipstick: deep red, almost purple, with a satin glow and a glossy shine. You don't remember buying it, and you probably would—the tube is flashy and golden. Maybe one of your friends left it there, and in any case, what could the harm be? It's just a tube of lipstick.

You lean toward the mirror and roll it across your lips, starting in the middle of your upper lip and moving in a smooth motion all around and back to where you started. You press your lips together, give them a light pop, and then grab a tissue to tidy up the edges. Wait a second. Were you going out? Do you even wear lipstick? You know you wouldn't just put on some lipstick you found in your bathroom. There must have been some reason, even if you can't remember right now.

At least it makes your lips look great. The warm sheen catches your eye and draws you in toward the center of your lips. You pout them, mime a kiss into the mirror. You're looking right at them when they begin to swell.